# Work order
Next, set down the block further down exactly.

# Contents
19
Properties=species:S:1:pos:R:3 method="wB97M-V/def2-TZVPD" energy_ha=-459.5686 homo_ev=-10.2 homo_lumo_gap_ev=10.6
C 1.56 0.46 -2.08
C 1.76 0.17 -0.60
O 1.61 1.03 0.24
H 0.59 0.19 -2.50
H 2.33 -0.23 -2.45
H 1.94 1.45 -2.33
H 2.11 -0.83 -0.35
O 0.22 -2.56 0.26
H -0.03 -3.25 -0.37
H -0.54 -1.96 0.14
O -0.30 0.78 2.63
H -1.13 0.44 3.01
H -0.69 0.73 1.72
O -0.91 1.70 0.04
H -1.48 2.30 0.56
H 0.05 1.79 0.18
O -2.44 -1.05 0.43
H -2.54 -0.95 1.38
H -2.10 -0.21 0.10

~~~~~

A molecular structure, C54H60BrFN5O5P2STa in a non-equilibrium geometry. Source: OMol25; level of theory: the ωB97M-V functional and the def2-TZVPD basis.

Element x y z (Å)
1 Ta 0.3402 0.3527 2.0062
2 Br 3.2159 -0.2584 3.7261
3 S 0.6942 3.6268 0.1426
4 P 0.6208 -2.2979 1.7821
5 P -0.4528 -0.7535 4.3840
6 F 2.1662 -1.2988 -4.6265
7 O 0.2365 2.2324 0.6137
8 O -2.9760 1.9037 1.0130
9 O 0.2390 -0.3073 -0.1829
10 O 0.9580 3.9533 4.1772
11 O -1.4544 0.3663 1.6418
12 N 0.0360 -1.4973 -9.3328
13 N 2.5929 0.4448 1.1562
14 N -2.6808 0.6634 -2.9282
15 N 0.9298 1.8087 3.1678
16 N 0.2056 -0.7080 -6.5760
17 C 1.3272 1.2836 7.4928
18 C 5.2008 0.8016 0.2833
19 C 1.8967 -2.8382 0.6341
20 C -4.9961 -0.1592 4.5543
21 C -0.3755 -0.1751 8.3665
22 C 3.6365 0.2718 1.9717
23 C -1.7838 5.3802 -1.0416
24 C -4.4926 -1.4452 4.6778
25 C 0.9313 2.9063 3.6918
26 C -1.8097 -5.4396 1.0602
27 C -0.0178 -0.5491 -5.2178
28 C 0.6706 -2.3884 -8.2952
29 C 4.9510 0.4403 1.5980
30 C 1.2466 -1.5470 -7.1646
31 C 1.5549 -3.1850 -0.6726
32 C -1.0200 -0.6228 -8.7074
33 C 0.7370 -0.7107 -2.9046
34 C -3.8212 0.8846 -3.8550
35 C 1.0344 -2.9787 3.4176
36 C -2.1655 -2.7059 1.4301
37 C 3.3069 4.4880 -0.0449
38 C 0.0519 -0.1109 5.9993
39 C -0.7067 -4.6184 1.2157
40 C 4.6582 4.7044 0.6282
41 C -0.8807 -3.2415 1.4030
42 C -0.4772 -0.1911 -2.4258
43 C 0.9562 -0.8643 -4.2353
44 C 2.5462 -3.5671 -1.5642
45 C -0.0427 -2.5517 4.4107
46 C -0.3211 4.8482 0.9841
47 C -3.1232 -1.6704 4.6034
48 C -0.6636 -0.6185 7.0875
49 C 2.2782 3.9756 0.9584
50 C -2.2562 -0.5992 4.4035
51 C -2.2152 1.0543 0.7005
52 C -2.7689 0.6953 4.2933
53 C 2.8507 0.7969 -0.1174
54 C -0.6827 0.0286 -1.0155
55 C -2.8574 0.9045 -1.6355
56 C -3.0921 -4.9008 1.0925
57 C 0.6139 0.7807 8.5698
58 C 4.1336 0.9780 -0.5860
59 C 1.0500 0.8385 6.2061
60 C -1.4652 0.1386 -3.3697
61 C 4.2193 -3.2423 0.1360
62 C -4.5351 -0.4110 -4.2071
63 C -3.2683 -3.5382 1.2745
64 C 3.2326 -2.8617 1.0333
65 C 3.8770 -3.5937 -1.1628
66 C -1.2260 -0.0597 -4.7336
67 C -1.9213 0.6193 -0.6674
68 C -1.7348 4.9402 0.4208
69 C -4.1321 0.9143 4.3647
70 C -0.3885 0.1703 -7.5751
71 H 1.5194 -0.9862 -2.2081
72 H -4.2656 -3.1182 1.3127
73 H -2.0994 1.5405 4.1696
74 H -6.0629 0.0118 4.6219
75 H -4.9488 -0.8760 -3.3113
76 H -2.0173 0.1475 -5.4370
77 H -2.2446 3.9872 0.5544
78 H 6.2209 0.9443 -0.0528
79 H -2.8166 5.4403 -1.3839
80 H -1.8030 -1.2836 -8.3417
81 H 0.5165 -3.1819 -0.9824
82 H 0.2754 -2.7916 5.4243
83 H -1.2541 4.6844 -1.6981
84 H -0.9596 -3.1007 4.2111
85 H 0.7546 -0.9108 -9.7655
86 H -3.8018 1.3481 -1.3429
87 H -2.2669 5.6682 1.0347
88 H -3.8686 -1.1278 -4.6882
89 H -1.6700 -6.5039 0.9228
90 H -1.4520 -1.3489 6.9424
91 H 1.6686 -2.2322 -6.4403
92 H 3.5094 -2.6217 2.0535
93 H 0.2240 5.7857 0.8236
94 H -5.1634 -2.2776 4.8471
95 H 5.3825 5.0970 -0.0838
96 H 2.9588 5.4275 -0.4816
97 H -1.1378 0.8263 -7.1454
98 H 0.3963 0.8191 -7.9875
99 H 1.4487 -2.9808 -8.7715
100 H 5.7477 0.2896 2.3140
101 H -0.1099 -3.0526 -7.9301
102 H -3.4532 1.4052 -4.7361
103 H -1.4300 0.0344 -9.4709
104 H 2.0666 -0.9251 -7.5447
105 H 1.9863 0.9357 -0.7479
106 H -2.3239 -1.6519 1.5964
107 H 2.0227 -2.6583 3.7317
108 H -2.7574 -2.6814 4.7226
109 H 4.2961 1.2558 -1.6188
110 H 0.2873 -5.0501 1.1874
111 H -5.3611 -0.1985 -4.8853
112 H 2.1004 2.0245 7.6521
113 H 1.6222 1.2260 5.3806
114 H 2.5847 3.0245 1.3979
115 H 2.2774 -3.8631 -2.5709
116 H 5.0520 3.7675 1.0326
117 H 1.0551 -4.0662 3.3394
118 H -4.5017 1.5663 -3.3520
119 H 3.4023 3.7720 -0.8656
120 H 4.6464 -3.9067 -1.8571
121 H -3.9521 -5.5495 0.9841

# Outcome
19
Properties=species:S:1:pos:R:3 method="wB97M-V/def2-TZVPD" energy_ha=-459.5686 homo_ev=-10.2 homo_lumo_gap_ev=10.6
C 1.56 0.46 -2.08
C 1.76 0.17 -0.60
O 1.61 1.03 0.24
H 0.59 0.19 -2.50
H 2.33 -0.23 -2.45
H 1.94 1.45 -2.33
H 2.11 -0.83 -0.35
O 0.22 -2.56 0.26
H -0.03 -3.25 -0.37
H -0.54 -1.96 0.14
O -0.30 0.78 2.63
H -1.13 0.44 3.01
H -0.69 0.73 1.72
O -0.91 1.70 0.04
H -1.48 2.30 0.56
H 0.05 1.79 0.18
O -2.44 -1.05 0.43
H -2.54 -0.95 1.38
H -2.10 -0.21 0.10

~~~~~

A molecular structure, C54H60BrFN5O5P2STa in a non-equilibrium geometry. Source: OMol25; level of theory: the ωB97M-V functional and the def2-TZVPD basis.

Element x y z (Å)
1 Ta 0.3402 0.3527 2.0062
2 Br 3.2159 -0.2584 3.7261
3 S 0.6942 3.6268 0.1426
4 P 0.6208 -2.2979 1.7821
5 P -0.4528 -0.7535 4.3840
6 F 2.1662 -1.2988 -4.6265
7 O 0.2365 2.2324 0.6137
8 O -2.9760 1.9037 1.0130
9 O 0.2390 -0.3073 -0.1829
10 O 0.9580 3.9533 4.1772
11 O -1.4544 0.3663 1.6418
12 N 0.0360 -1.4973 -9.3328
13 N 2.5929 0.4448 1.1562
14 N -2.6808 0.6634 -2.9282
15 N 0.9298 1.8087 3.1678
16 N 0.2056 -0.7080 -6.5760
17 C 1.3272 1.2836 7.4928
18 C 5.2008 0.8016 0.2833
19 C 1.8967 -2.8382 0.6341
20 C -4.9961 -0.1592 4.5543
21 C -0.3755 -0.1751 8.3665
22 C 3.6365 0.2718 1.9717
23 C -1.7838 5.3802 -1.0416
24 C -4.4926 -1.4452 4.6778
25 C 0.9313 2.9063 3.6918
26 C -1.8097 -5.4396 1.0602
27 C -0.0178 -0.5491 -5.2178
28 C 0.6706 -2.3884 -8.2952
29 C 4.9510 0.4403 1.5980
30 C 1.2466 -1.5470 -7.1646
31 C 1.5549 -3.1850 -0.6726
32 C -1.0200 -0.6228 -8.7074
33 C 0.7370 -0.7107 -2.9046
34 C -3.8212 0.8846 -3.8550
35 C 1.0344 -2.9787 3.4176
36 C -2.1655 -2.7059 1.4301
37 C 3.3069 4.4880 -0.0449
38 C 0.0519 -0.1109 5.9993
39 C -0.7067 -4.6184 1.2157
40 C 4.6582 4.7044 0.6282
41 C -0.8807 -3.2415 1.4030
42 C -0.4772 -0.1911 -2.4258
43 C 0.9562 -0.8643 -4.2353
44 C 2.5462 -3.5671 -1.5642
45 C -0.0427 -2.5517 4.4107
46 C -0.3211 4.8482 0.9841
47 C -3.1232 -1.6704 4.6034
48 C -0.6636 -0.6185 7.0875
49 C 2.2782 3.9756 0.9584
50 C -2.2562 -0.5992 4.4035
51 C -2.2152 1.0543 0.7005
52 C -2.7689 0.6953 4.2933
53 C 2.8507 0.7969 -0.1174
54 C -0.6827 0.0286 -1.0155
55 C -2.8574 0.9045 -1.6355
56 C -3.0921 -4.9008 1.0925
57 C 0.6139 0.7807 8.5698
58 C 4.1336 0.9780 -0.5860
59 C 1.0500 0.8385 6.2061
60 C -1.4652 0.1386 -3.3697
61 C 4.2193 -3.2423 0.1360
62 C -4.5351 -0.4110 -4.2071
63 C -3.2683 -3.5382 1.2745
64 C 3.2326 -2.8617 1.0333
65 C 3.8770 -3.5937 -1.1628
66 C -1.2260 -0.0597 -4.7336
67 C -1.9213 0.6193 -0.6674
68 C -1.7348 4.9402 0.4208
69 C -4.1321 0.9143 4.3647
70 C -0.3885 0.1703 -7.5751
71 H 1.5194 -0.9862 -2.2081
72 H -4.2656 -3.1182 1.3127
73 H -2.0994 1.5405 4.1696
74 H -6.0629 0.0118 4.6219
75 H -4.9488 -0.8760 -3.3113
76 H -2.0173 0.1475 -5.4370
77 H -2.2446 3.9872 0.5544
78 H 6.2209 0.9443 -0.0528
79 H -2.8166 5.4403 -1.3839
80 H -1.8030 -1.2836 -8.3417
81 H 0.5165 -3.1819 -0.9824
82 H 0.2754 -2.7916 5.4243
83 H -1.2541 4.6844 -1.6981
84 H -0.9596 -3.1007 4.2111
85 H 0.7546 -0.9108 -9.7655
86 H -3.8018 1.3481 -1.3429
87 H -2.2669 5.6682 1.0347
88 H -3.8686 -1.1278 -4.6882
89 H -1.6700 -6.5039 0.9228
90 H -1.4520 -1.3489 6.9424
91 H 1.6686 -2.2322 -6.4403
92 H 3.5094 -2.6217 2.0535
93 H 0.2240 5.7857 0.8236
94 H -5.1634 -2.2776 4.8471
95 H 5.3825 5.0970 -0.0838
96 H 2.9588 5.4275 -0.4816
97 H -1.1378 0.8263 -7.1454
98 H 0.3963 0.8191 -7.9875
99 H 1.4487 -2.9808 -8.7715
100 H 5.7477 0.2896 2.3140
101 H -0.1099 -3.0526 -7.9301
102 H -3.4532 1.4052 -4.7361
103 H -1.4300 0.0344 -9.4709
104 H 2.0666 -0.9251 -7.5447
105 H 1.9863 0.9357 -0.7479
106 H -2.3239 -1.6519 1.5964
107 H 2.0227 -2.6583 3.7317
108 H -2.7574 -2.6814 4.7226
109 H 4.2961 1.2558 -1.6188
110 H 0.2873 -5.0501 1.1874
111 H -5.3611 -0.1985 -4.8853
112 H 2.1004 2.0245 7.6521
113 H 1.6222 1.2260 5.3806
114 H 2.5847 3.0245 1.3979
115 H 2.2774 -3.8631 -2.5709
116 H 5.0520 3.7675 1.0326
117 H 1.0551 -4.0662 3.3394
118 H -4.5017 1.5663 -3.3520
119 H 3.4023 3.7720 -0.8656
120 H 4.6464 -3.9067 -1.8571
121 H -3.9521 -5.5495 0.9841